## Given
-- begin --
(1)
Below is an isolated ion of composition C38H29O3S and charge -1, with properties calculated with ωB97M-V/def2-TZVPD.

```
! wB97M-V def2-TZVPD RIJCOSX def2/J DEFGRID3
* xyz -1 1
O 0.102 -1.751 -3.743
S 0.467 -1.349 -2.406
O 1.605 -1.920 -1.725
C 0.756 0.438 -2.576
C 0.496 1.108 -3.772
C 0.847 2.458 -3.889
C 1.419 3.145 -2.813
C 1.646 2.480 -1.606
C 1.327 1.129 -1.512
C -1.046 -1.478 -1.292
C -2.046 -2.462 -1.914
C -3.422 -2.199 -1.882
C -4.370 -3.205 -2.070
C -3.950 -4.462 -2.514
C -2.590 -4.662 -2.792
C -1.644 -3.680 -2.477
C -0.832 -1.681 0.204
C -2.209 -1.606 0.882
C -3.066 -0.560 0.504
C -4.421 -0.583 0.860
C -4.850 -1.522 1.804
C -3.943 -2.441 2.350
C -2.632 -2.517 1.856
C 0.147 -0.686 0.855
C 1.499 -1.034 1.108
C 2.427 -0.092 1.545
C 3.871 -0.362 1.672
C 4.447 -1.432 0.953
C 5.825 -1.659 0.981
C 6.670 -0.822 1.720
C 6.115 0.237 2.452
C 4.739 0.460 2.434
C 1.993 1.327 1.634
O 2.814 2.263 1.549
C 0.544 1.605 1.603
C 0.052 2.987 1.703
C -1.120 3.360 1.000
C -1.567 4.681 1.010
C -0.881 5.654 1.747
C 0.273 5.296 2.458
C 0.734 3.982 2.434
C -0.313 0.560 1.300
H 0.047 0.561 -4.600
H 0.685 2.968 -4.838
H 1.705 4.193 -2.901
H 2.095 2.984 -0.748
H 1.523 0.581 -0.596
H -1.360 -0.447 -1.503
H -3.766 -1.192 -1.650
H -5.430 -2.993 -1.890
H -4.679 -5.258 -2.683
H -2.254 -5.590 -3.267
H -0.591 -3.892 -2.659
H -0.416 -2.687 0.369
H -2.689 0.265 -0.112
H -5.108 0.130 0.384
H -5.899 -1.531 2.110
H -4.255 -3.126 3.145
H -1.922 -3.263 2.231
H 1.786 -2.086 1.022
H 3.800 -2.051 0.328
H 6.238 -2.492 0.412
H 7.749 -0.987 1.726
H 6.757 0.898 3.038
H 4.334 1.303 2.990
H -1.649 2.608 0.407
H -2.456 4.944 0.435
H -1.241 6.685 1.766
H 0.820 6.044 3.033
H 1.647 3.720 2.965
H -1.380 0.706 1.451
*
```

As for the structure (SMILES): O=S(=O)(c1ccccc1)[C@@H](c1ccccc1)[C@H](c1ccccc1)c1cc(-c2ccccc2)c([O-])c(-c2ccccc2)c1. The HOMO-LUMO gap is 6.041 eV. For the HOMO energy, the calculation gives -3.50 eV. Its total energy is -56855.367 eV.

***

(2)
Below is C38H30ClN6O4SSr as an isolated structure, with properties calculated with ωB97M-V/def2-TZVPD.

```
! wB97M-V def2-TZVPD RIJCOSX def2/J DEFGRID3
* xyz -1 1
Sr -1.329 -0.117 -0.321
N -5.169 2.197 0.046
C -3.798 2.144 -0.077
S -3.126 2.366 -1.606
N -3.106 2.133 1.034
N -1.828 1.803 0.930
C -0.919 2.371 1.642
C -1.205 3.544 2.504
C -1.314 3.425 3.884
C -1.698 4.513 4.650
C -1.981 5.726 4.045
C -1.858 5.855 2.671
C -1.476 4.771 1.904
C 0.448 1.875 1.445
C 1.681 2.795 1.525
C 2.723 1.950 2.216
C 2.356 0.673 2.235
C 1.007 0.503 1.674
N 0.694 1.003 0.321
H -5.644 1.996 -0.819
H -5.535 1.722 0.857
H -1.123 2.466 4.347
H -1.790 4.412 5.723
H -2.301 6.567 4.645
H -2.076 6.802 2.199
H -1.404 4.862 0.830
H 1.502 3.773 1.973
H 3.660 2.356 2.555
H 2.907 -0.152 2.651
H 0.407 -0.342 1.957
Cl -2.699 -4.830 -5.612
C -2.745 -3.538 -4.449
C -3.980 -3.146 -3.927
C -4.000 -2.169 -2.976
C -2.817 -1.524 -2.492
O -2.900 -0.724 -1.526
C -1.575 -1.862 -3.139
C -0.319 -1.211 -2.944
N -0.023 -0.094 -2.360
C 1.246 0.422 -2.629
C 1.753 0.251 -3.928
C 2.996 0.700 -4.328
C 3.772 1.406 -3.435
C 3.288 1.678 -2.162
C 4.081 2.503 -1.268
C 3.530 3.101 -0.216
C 2.075 2.869 0.044
N 1.738 1.526 -0.425
C 2.028 1.193 -1.730
C -1.582 -2.923 -4.065
H -4.890 -3.630 -4.260
H -4.933 -1.851 -2.532
H 0.497 -1.749 -3.453
H 1.115 -0.205 -4.671
H 3.342 0.514 -5.334
H 4.741 1.786 -3.721
H 5.124 2.644 -1.511
H 4.070 3.769 0.436
H 1.454 3.630 -0.480
H -0.646 -3.243 -4.501
C 3.220 -5.525 -1.247
O 2.929 -5.522 0.128
C 1.987 -4.640 0.590
C 1.632 -4.810 1.946
C 0.677 -4.011 2.504
C 0.025 -2.994 1.778
C -1.024 -2.196 2.343
C -1.457 -2.488 3.777
O -1.613 -1.282 1.750
C 0.417 -2.774 0.409
O -0.060 -1.853 -0.298
C 1.401 -3.651 -0.145
H 3.921 -6.346 -1.404
H 3.688 -4.589 -1.568
H 2.319 -5.705 -1.842
H 2.128 -5.581 2.514
H 0.425 -4.176 3.542
H -1.994 -3.434 3.799
H -2.122 -1.692 4.106
H -0.605 -2.547 4.450
H 1.659 -3.464 -1.176
*
```
-- stop --
## What to do
Copy the data earlier on from the first line to the one with "-1.526" character by character.
## Outcome
(1)
Below is an isolated ion of composition C38H29O3S and charge -1, with properties calculated with ωB97M-V/def2-TZVPD.

```
! wB97M-V def2-TZVPD RIJCOSX def2/J DEFGRID3
* xyz -1 1
O 0.102 -1.751 -3.743
S 0.467 -1.349 -2.406
O 1.605 -1.920 -1.725
C 0.756 0.438 -2.576
C 0.496 1.108 -3.772
C 0.847 2.458 -3.889
C 1.419 3.145 -2.813
C 1.646 2.480 -1.606
C 1.327 1.129 -1.512
C -1.046 -1.478 -1.292
C -2.046 -2.462 -1.914
C -3.422 -2.199 -1.882
C -4.370 -3.205 -2.070
C -3.950 -4.462 -2.514
C -2.590 -4.662 -2.792
C -1.644 -3.680 -2.477
C -0.832 -1.681 0.204
C -2.209 -1.606 0.882
C -3.066 -0.560 0.504
C -4.421 -0.583 0.860
C -4.850 -1.522 1.804
C -3.943 -2.441 2.350
C -2.632 -2.517 1.856
C 0.147 -0.686 0.855
C 1.499 -1.034 1.108
C 2.427 -0.092 1.545
C 3.871 -0.362 1.672
C 4.447 -1.432 0.953
C 5.825 -1.659 0.981
C 6.670 -0.822 1.720
C 6.115 0.237 2.452
C 4.739 0.460 2.434
C 1.993 1.327 1.634
O 2.814 2.263 1.549
C 0.544 1.605 1.603
C 0.052 2.987 1.703
C -1.120 3.360 1.000
C -1.567 4.681 1.010
C -0.881 5.654 1.747
C 0.273 5.296 2.458
C 0.734 3.982 2.434
C -0.313 0.560 1.300
H 0.047 0.561 -4.600
H 0.685 2.968 -4.838
H 1.705 4.193 -2.901
H 2.095 2.984 -0.748
H 1.523 0.581 -0.596
H -1.360 -0.447 -1.503
H -3.766 -1.192 -1.650
H -5.430 -2.993 -1.890
H -4.679 -5.258 -2.683
H -2.254 -5.590 -3.267
H -0.591 -3.892 -2.659
H -0.416 -2.687 0.369
H -2.689 0.265 -0.112
H -5.108 0.130 0.384
H -5.899 -1.531 2.110
H -4.255 -3.126 3.145
H -1.922 -3.263 2.231
H 1.786 -2.086 1.022
H 3.800 -2.051 0.328
H 6.238 -2.492 0.412
H 7.749 -0.987 1.726
H 6.757 0.898 3.038
H 4.334 1.303 2.990
H -1.649 2.608 0.407
H -2.456 4.944 0.435
H -1.241 6.685 1.766
H 0.820 6.044 3.033
H 1.647 3.720 2.965
H -1.380 0.706 1.451
*
```

As for the structure (SMILES): O=S(=O)(c1ccccc1)[C@@H](c1ccccc1)[C@H](c1ccccc1)c1cc(-c2ccccc2)c([O-])c(-c2ccccc2)c1. The HOMO-LUMO gap is 6.041 eV. For the HOMO energy, the calculation gives -3.50 eV. Its total energy is -56855.367 eV.

***

(2)
Below is C38H30ClN6O4SSr as an isolated structure, with properties calculated with ωB97M-V/def2-TZVPD.

```
! wB97M-V def2-TZVPD RIJCOSX def2/J DEFGRID3
* xyz -1 1
Sr -1.329 -0.117 -0.321
N -5.169 2.197 0.046
C -3.798 2.144 -0.077
S -3.126 2.366 -1.606
N -3.106 2.133 1.034
N -1.828 1.803 0.930
C -0.919 2.371 1.642
C -1.205 3.544 2.504
C -1.314 3.425 3.884
C -1.698 4.513 4.650
C -1.981 5.726 4.045
C -1.858 5.855 2.671
C -1.476 4.771 1.904
C 0.448 1.875 1.445
C 1.681 2.795 1.525
C 2.723 1.950 2.216
C 2.356 0.673 2.235
C 1.007 0.503 1.674
N 0.694 1.003 0.321
H -5.644 1.996 -0.819
H -5.535 1.722 0.857
H -1.123 2.466 4.347
H -1.790 4.412 5.723
H -2.301 6.567 4.645
H -2.076 6.802 2.199
H -1.404 4.862 0.830
H 1.502 3.773 1.973
H 3.660 2.356 2.555
H 2.907 -0.152 2.651
H 0.407 -0.342 1.957
Cl -2.699 -4.830 -5.612
C -2.745 -3.538 -4.449
C -3.980 -3.146 -3.927
C -4.000 -2.169 -2.976
C -2.817 -1.524 -2.492
O -2.900 -0.724 -1.526